Duminica 14 Mai 2006 incepand cu ora: 20:00 clubul Underworld impreuna cu ALN Studio prezinta:
Cantam si coloram
invitat - Harold (Beat Box)
in deschidere Memento
1. Who are JMNI? What do you represent? What do you intend to do (express) with your music?
JMNI: 2 African men who love the art of self expression through music and writing. We intend to spread our message to people who share the same background as us as well as anyone who is a fan of rap music.
2. What do your stage names mean, where do they come from (TRINITRO & M.O.A)?
Trinitro: Trinitro is short for Trinitrotoluene which is the scientific word for TNT dynamite.
## Attached: calculated crystals
-- begin --
(1)
{
  "formula": "PrAlZn",
  "functional": "GGA-PBE",
  "state": "optimized geometry",
  "lattice": [[2.319, 5.346, 0.000], [-2.319, 5.346, 0.000], [0.000, 5.229, 5.471]],
  "species": ["Pr", "Pr", "Al", "Al", "Zn", "Zn"],
  "fractional_positions": [[0.535, 0.535, 0.211], [0.465, 0.465, 0.789], [0.163, 0.163, 0.391], [0.837, 0.837, 0.609], [0.836, 0.836, 0.219], [0.164, 0.164, 0.781]],
  "crystal_system": "monoclinic",
  "density_g_cm3": 5.712,
  "spacegroup": "No. 12",
  "delta_e_f_ev_per_atom": -0.4291
}

---

(2)
{
  "formula": "PrAl2Zn2",
  "functional": "GGA-PBE",
  "state": "optimized geometry",
  "lattice": [[4.216, 0.000, 0.000], [0.000, 4.216, 0.000], [-2.108, -2.108, 5.516]],
  "species": ["Pr", "Al", "Al", "Zn", "Zn"],
  "fractional_positions": [[0.000, 0.000, 0.000], [0.750, 0.250, 0.500], [0.250, 0.750, 0.500], [0.612, 0.612, 0.223], [0.388, 0.388, 0.777]],
  "crystal_system": "tetragonal",
  "density_g_cm3": 5.517,
  "spacegroup": "No. 139",
  "delta_e_f_ev_per_atom": -0.4447
}

---

(3)
{
  "formula": "AlPt3",
  "functional": "GGA-PBE",
  "state": "optimized geometry",
  "lattice": [[3.987, 3.820, 0.276], [-5.156, 1.486, -1.456], [-3.091, 2.975, 3.487]],
  "species": ["Al", "Al", "Pt", "Pt", "Pt", "Pt", "Pt", "Pt"],
  "fractional_positions": [[0.750, 0.500, 0.750], [0.250, 0.500, 0.250], [0.250, 0.500, 0.750], [0.750, 0.500, 0.250], [0.280, 0.000, 0.780], [0.720, 0.000, 0.220], [0.220, 0.000, 0.280], [0.780, 0.000, 0.720]],
  "crystal_system": "tetragonal",
  "density_g_cm3": 16.826,
  "spacegroup": "No. 140",
  "delta_e_f_ev_per_atom": -0.6901
}

---

(4)
{
  "formula": "AlPt3",
  "functional": "GGA-PBE",
  "state": "optimized geometry",
  "lattice": [[5.518, 0.000, 0.000], [0.000, 5.518, 0.000], [0.000, 0.000, 7.948]],
  "species": ["Al", "Al", "Al", "Al", "Pt", "Pt", "Pt", "Pt", "Pt", "Pt", "Pt", "Pt", "Pt", "Pt", "Pt", "Pt"],
  "fractional_positions": [[0.500, 0.000, 0.242], [0.000, 0.500, 0.242], [0.500, 0.000, 0.758], [0.000, 0.500, 0.758], [0.278, 0.222, 0.000], [0.778, 0.278, 0.000], [0.222, 0.722, 0.000], [0.722, 0.778, 0.000], [0.000, 0.000, 0.252], [0.500, 0.500, 0.252], [0.696, 0.196, 0.500], [0.196, 0.304, 0.500], [0.804, 0.696, 0.500], [0.304, 0.804, 0.500], [0.000, 0.000, 0.748], [0.500, 0.500, 0.748]],
  "crystal_system": "tetragonal",
  "density_g_cm3": 16.801,
  "spacegroup": "No. 127",
  "delta_e_f_ev_per_atom": -0.6925
}

---

(5)
{
  "formula": "AlPt3",
  "functional": "GGA-PBE",
  "state": "optimized geometry",
  "lattice": [[0.000, 0.000, 3.942], [5.534, 0.000, 0.000], [0.000, 5.534, 0.000]],
  "species": ["Al", "Al", "Pt", "Pt", "Pt", "Pt", "Pt", "Pt"],
  "fractional_positions": [[0.500, 0.000, 0.500], [0.500, 0.500, 0.000], [0.000, 0.763, 0.263], [0.000, 0.237, 0.737], [0.000, 0.263, 0.237], [0.000, 0.737, 0.763], [0.500, 0.500, 0.500], [0.500, 0.000, 0.000]],
  "crystal_system": "tetragonal",
  "density_g_cm3": 16.841,
  "spacegroup": "No. 127",
  "delta_e_f_ev_per_atom": -0.6790
}

---

(6)
{
-- stop --
M.O.A: M.O.A stands for minister of agrikulcha, well because I plant seeds in.
3. How did you 2 meet each other?
We've had a relationship since childhood. We went to school in the same city. Hiphop is something that we always did all our lives as children, and we finally got a chance to expose it.
4. How did you end up in Philly? Do you think you can be heard better there than in Africa?
Trinitro: I came to Philly to finish my studies, got back in touch with my childhood friend MOA and decided to make this happen. I believe that our message is meant to be heard by all human beings. We live in Philadelphia but our style of music is intended to touch African people worldwide and can be better heard in Europe and Africa I believe.
M.O.A: I ended up in Philly for college. While here I put out the AMBASSADOZ: TRAVELWISE debut album. During the recording process of that album, Latson and myself started recording tracks for our debut album REBEL POETRY.
5."REBEL POETRY", is your debut album. How is it being received by hip hop fans?
So far, fans think our style is strong, unique and a breath of fresh air in this shark infested game!
6. What themes have you had on "REBEL POETRY"? How did you expect people to react after listening it?
Themes are various, from war to dictatorship in Africa, relationships between men and women, ego-tripping, foreign affairs and bravado rhymes.
7. What are you currently working on and how are you going to promote it so your message can be heard all over the world?
Actually, at the moment, we are putting finishing touches to REBEL POETRY and doing shows whenever we get the chance. M.O.A is working on a mixtape called "MOA Presents" as well as doing shows with AKAN. Latson is working on his next album, as well as producing and recording different up and coming acts in the area. We are also tightening up the business end of things. We're going to push this to the public and get it where it needs to be -mom and pop shops, the internet, car trunks, bootlegs, digital distribution and word of mouth!
8. Besides Mc-ing what else are each of you fond of in the hip hop culture?
Trinitro: I like breakdancing.
M.O.A: Tagging.
9. How much of the african culture can be found in your rhymes?
Most of our rhymes in Rebel Poetry are influenced by our African background. You also have to overstand that we have a world view of this hiphop game. We have traveled around to different places in our youth and look at the bigger picture of things, but the foundation is definitely African.
10. You used to produce your own work. Have you concidered to collaborate with someone else for production?
We've actually collaborated with few producers on some songs, and we are always ready to collaborate with others if the vibe is right. We got tracks from DN3 (Philly native) as well as SEVEN (Ghanaian producer extraordinaire)!
M.O.A is currently working with a Romanian producer/dj by the name of DJ FaiboX.
11. On your future works who else besides JMNI can be heard?
Probably emcees and artists who are close to us. We have a track that so far features 20 emcees from all parts of the globe! Look for the cd for that!
12. A few words for your fans form all over?
JMNI is a device of floatation, like a vortex in a mighty rotation! We truly hope that you will enjoy the Rebel Poetry album, and thank you for taking time to LISTEN. This was a joint project between Lvolution Productions (Trinitro) and AndahGround Soundz (M.O.A). The official JMNI website is under construction.
13. HipHopKulture.ro thanks your for doing this interview and hopes to hear from JMNI as soon as possible.
We want to tell everybody that JMNI is in full effect. It's just the beginning. Everybody has a personal life outside the music. When you don't hear from us for awhile, it's good. In that time we're going through enough things to express to you later. Its all part of the cycle! Ya foyi! One Love from Trinitro and M.O.A!
La patru luni de la lansarea materialului de debut "Dificultati tehnice" CTC apar in fata voastra intr-un maraton de peste 150 de minute de concert live, dj-ing si proiectii video.
Pentru cunoscatori acest maraton este perceput ca si lansarea neoficiala a albumului si va este oferit prin conlucrarea a doua label-uri indeppendente: Hades Records si Facem Records. Armada, Zale, Pirats Klan, Da Hood, Bitza, Grasu XXL, K-Gula, Eqinox, Furnici Coapte si Funktastics vor presta live in fata voastra sustinuti la platane de Turntable Science, DJ Grand, UFe, DJ Excess si DeeJayGruv.
Cred ca sunt motive destule ca nimeni sa nu lipseasca vineri pe 3 martie din Preoteasa.
graffity 01
C.T.C. vor concerta sambata, 11 martie in club Bounce din Timisoara, incepand cu ora 22:00. Warm-up si after-party asigurate de DJ Flava si DJ Paul.
Pacha Man
si tu cine pula mea ai vrea sa fii cacatule....nu cumva esti o pulan cur care se sufoaca....mad_dog sa se puna cu tine te face praf .... virus iti baga pula-n cur si iti iese pe nas .... si am ajuns la mine.....fata de rimele mele ale tale parca ti leo trimis vreun copil de vreo 8-9 ani....pai uita-te la rimele mele nu la ale tale coaie prost si mother fucker ce esti. mai el reinventeaza underground-ul :rotfl::rotfl: da oare a disparut underground-ul si nu stiu eu???